For ‘Lost's’ tail-enders, danger from within

No monsters or polar bears, but frightening face-time with the Others


No rampaging, pilot-eating monsters in the jungle.  No polar bears. 

Not even any wild boars — though Ana-Lucia heard some ("maybe we can have some bacon tomorrow") — and the one chicken the tail-enders found and roasted didn't exactly look too wild.

Wednesday's "Lost" told the long-awaited Tale of the Tail, giving us a chance to see how the other half lives on Mystery Island.  If Jack, Locke and the posse from flight 815's front section have been living in terror of things that go bump in the jungle, the tail-enders had a less paranormal, but equally terrifying, ordeal.

Many were lost when the tail plunged into the sea (so much for those "emergency water landings") and those who somehow fell to earth weren't much better off: Rose's husband Bernard found himself suspended in a tree, coaxed to safety by Ana-Lucia just moments before the seat he was strapped in plunged to the ground.

That alone should have raised some questions about why Goodwin waltzed out of the tall grass 10 minutes after the crash with nary a scratch, but those questions didn't emerge until weeks later.  His claim of being in the Peace Corps was good enough for Ana-Lucia.

It was Ana-Lucia who quickly established herself as the tail-enders' de facto leader, much as Jack did for the original set of castaways, except she didn't have her equivalent of Sawyer or Kate to contend with. If Locke is the oracle for the first bunch, Eko turned out to be a rather silent prophet for the tailies, at least for the first 40 days. 

For that matter, the tail folks lack a Hurley equivalent, and instead of an M.D., they get a shrink.  Not that Libby may not prove valuable, and her psychology background might help unravel some of the Dharma mysteries, but her "This one time, on the ski slopes" brand of medicine didn't prevent castaway Donald from succumbing to a fatal leg fracture.

Day 1 for the tailies unfolded much as it did for Locke & Co. — pulling people to safety, making a fire — until the noises in the woods began.  Except this time, the noises weren't mysterious beasts: It was Eko, who Ana-Lucia found covered in blood, with two unidentified jumpsuit-wearing dead guys on the ground.  (The jumpsuits looked identical to the ones Desmond had in the Swan station, and to the ones the Others wore when we saw their legs walking by a few episodes ago.)

At that point, you couldn't blame Eko for honing a stick into his weapon of choice. (And what he was carving on it, anyway?)

Do you have a pass??On Day 12, all hell broke loose.  First, Nathan suddenly walked out of the jungle, claiming he had been off going to the bathroom ... despite a two-hour absence.

"We have a system for that!" Ana-Lucia snapped. "We go in pairs."

Some sadistic kindergarten-teacher fantasy? Nope. Her Other-dar ended up being spot-on.  That night, jumpsuit-clad Others raided the tail-enders' camp, snatching away nine of them.

Ana-Lucia took down one female Other, and discovered a list with the nine kidnapped tailies' names. Though she immediately suspected Nathan, Goodwin talked her down.

But on Day 17, she started digging a hole for interrogation, and pushed Nathan in. (Jin, Sawyer and Michael would later spend quality time in the same hole.) Though her companions were shocked, Ana-Lucia insisted, "He wasn't on the plane!"

Then suddenly Cindy said she hadn't seen him on board either, and psychologist Libby noted that Nathan refused to talk about himself.

Hoping to squeeze out a few details, Ana-Lucia began her interrogation, getting almost nowhere. Where was Nathan from?  Canada, just like his almost-namesake Ethan Rom. (Canadian or not, Ethan was clearly a spy. Maybe the Dharma Initiative had a recruiting office in Toronto.)

Inserted here: data records.
-- begin --
Density functional theory data (wB97M-V/def2-TZVPD) for a 10-piece molecular cluster, C47H92NO27P4 overall in a non-equilibrium geometry.

The geometry in XYZ format:
```
171
Properties=species:S:1:pos:R:3:forces:R:3
C 0.587 2.385 1.203 1.19 0.30 -1.54
C 0.101 1.079 1.775 -1.57 -0.30 0.96
C -1.416 0.827 1.505 -0.89 -1.04 -0.98
C -1.721 0.189 0.163 0.84 1.10 -0.09
C -0.894 -1.085 -0.012 -0.06 1.31 -0.84
C 0.679 -0.920 0.054 -1.65 -1.56 0.67
N 1.001 -0.058 1.243 8.19 -0.31 0.94
O 2.333 -0.181 1.648 -9.07 1.28 -1.99
C 1.343 -0.354 -1.223 -0.55 0.66 -0.09
C 1.174 -2.366 0.350 0.58 0.11 -0.26
C 0.192 1.111 3.245 1.06 -0.74 2.86
H 0.903 2.214 0.174 -0.05 0.29 -0.24
H 1.473 2.759 1.717 -0.08 -0.17 0.17
H -0.160 3.178 1.166 -0.23 -0.37 0.29
H -1.994 1.751 1.538 0.59 0.33 0.28
H -1.948 0.166 2.190 0.85 0.02 0.88
H -1.504 1.006 -0.526 0.30 -0.46 -0.89
H -2.792 0.026 0.043 0.08 -0.32 0.17
H -1.149 -1.446 -1.009 0.34 -0.50 0.05
H -1.233 -1.802 0.736 0.21 -0.14 -0.05
H 0.752 0.453 -1.657 -0.15 0.16 0.21
H 1.335 -1.126 -1.992 0.20 -0.21 0.29
H 2.345 0.049 -1.070 0.04 -0.39 0.17
H 0.763 -2.760 1.279 0.34 0.29 0.21
H 2.260 -2.433 0.286 -0.04 0.04 0.42
H 0.810 -3.062 -0.406 -0.25 0.40 -0.31
H -0.493 1.807 3.730 -0.21 0.15 -0.60
H 1.164 1.344 3.680 0.29 0.23 -0.50
H -0.028 0.146 3.701 -0.28 -0.18 -0.18
C 1.056 4.536 -5.604 1.70 0.11 0.72
C 0.706 5.117 -4.386 -1.53 -0.13 0.48
C 1.584 5.784 -3.566 2.25 -0.07 -0.56
C 2.930 5.694 -3.979 0.17 1.33 1.66
C 3.370 5.155 -5.160 -0.45 0.02 0.45
C 2.420 4.581 -5.953 -1.56 -0.31 -0.77
O 2.883 3.993 -7.077 0.58 -0.52 -1.05
O 1.162 6.418 -2.409 -0.62 -0.82 -0.62
H 0.407 3.938 -6.225 -0.37 0.19 0.14
H -0.270 5.016 -3.935 -0.55 0.01 -0.54
H 3.684 6.103 -3.323 0.14 0.26 0.19
H 4.400 5.154 -5.485 0.04 0.02 0.19
H 2.263 4.008 -7.810 -0.25 0.02 0.16
H 1.818 6.950 -1.952 0.44 -0.12 -0.38
C 7.960 -1.319 -0.086 0.16 0.44 -0.05
C 7.402 -0.166 0.410 -1.20 0.21 -0.96
C 7.142 0.883 -0.498 0.66 -0.79 0.94
C 7.478 0.743 -1.825 -0.40 1.37 0.27
C 8.111 -0.366 -2.297 0.87 -0.76 -0.30
C 8.400 -1.375 -1.406 -0.02 -0.71 0.28
O 9.076 -2.501 -1.795 -0.34 0.14 -0.24
O 6.571 2.024 -0.025 -0.68 0.54 0.54
H 8.073 -2.160 0.582 0.21 -0.20 -0.02
H 6.966 -0.204 1.397 0.24 0.52 0.21
H 7.264 1.590 -2.461 -0.03 0.00 -0.29
H 8.444 -0.431 -3.322 -0.06 -0.10 -0.06
H 8.810 -3.133 -1.124 0.45 -0.60 -0.14
H 7.041 2.809 -0.317 0.08 -0.06 -0.19
C -5.541 10.606 0.098 -0.60 -1.60 -0.10
C -4.669 9.673 0.707 -1.45 1.24 -0.37
C -4.540 8.403 0.222 0.35 -1.01 -1.00
C -5.220 7.979 -0.937 -0.81 1.45 0.22
C -6.164 8.866 -1.521 1.02 0.24 1.41
C -6.355 10.164 -0.979 0.62 -0.44 0.32
O -7.363 10.975 -1.451 0.61 -0.04 0.32
O -3.697 7.524 0.882 -0.16 -0.24 -0.37
H -5.739 11.516 0.645 -0.05 0.27 -0.42
H -4.263 9.899 1.682 0.37 0.22 -0.05
H -5.087 6.998 -1.369 0.12 -0.08 0.19
H -6.780 8.531 -2.343 0.00 -0.01 -0.16
H -7.841 10.495 -2.131 -0.08 0.01 -0.11
H -2.973 8.040 1.242 0.11 -0.03 0.14
C 3.720 -11.575 -1.471 -0.61 -1.17 -1.84
O 4.274 -10.308 -1.291 -0.08 1.39 1.54
-- stop --

When Nathan said he was on the flight because of a "company retreat," you had to wonder whether that company was Dharma — especially since the tail-enders later found another Dharma station, with not only a "Quarantine" warning on the inside of the door and a different Dharma logo, this one with an arrow, but a radio and a glass eye.

At that point, Ana-Lucia's paranoia was jumping off the charts, but it took her a while to figure out to determine where the needle on her Other detector should be pointing. Goodwin asked her to let Nathan go, but the woman Sawyer calls Rambina didn't blink: "If I were a savage, I would have cut off his finger already. That's tomorrow."

Goodwin secretly freed Nathan, only to break his neck. But only when Goodwin and Ana-Lucia hiked up to high ground with the radio did she throw her cards on the table, quizzing him about discovering Bernard in the tree.

"Did he see you out there?" she asked Goodwin. "Is that why you pretended to be one of us?"

Moments later, he was impaled on the sharp end of Ana-Lucia's stick. 

Soon after came the tail-enders' biggest revelation. Bernard tuned the radio and heard ... Boone seeking help for the survivors of flight 815. Bernard broadcast back, "WE'RE the survivors of flight 815," before Ana-Lucia snapped off the radio.

Ultimately, she couldn't escape a meeting with the other half of the castaways, though not until Day 45, when Cindy and Libby found Jin washed up on the beach.

And all of a sudden, the tales of the two sets of castaways collided — all the way up to the fateful moment when Ana-Lucia shoots into the woods and kills Shannon. A rage-filled Sayid stares up at her, and you know what the island's next big faceoff will be.

More questionsSo now both halves of the story are in place, at least so far as Oceanic's ill-fated passengers are concerned.  But there are more questions than ever.

What truly happened to Zack and Emma, the two children snatched away by the jumpsuit posse?  "The children are fine. They're better off now," Goodwin tells Ana-Lucia before his demise, but that seems unlikely.  Emma's teddy bear, seen a few episodes back when the Others tramped through the woods, is a hint that we'll see the kids again.  Why do the Others want to kidnap children, along with what Goodwin described as "good" people?  Have Zack and Emma faced the same fate as Walt? What's "good" about them?

Which Others are which? Locke and that crew has been worried about other people on the island, but are they truly expecting to find other survivors?  Jin described the tail-enders as "others" when Sawyer and Michael washed ashore from the wreckage of the raft, but he likely was just confused.  So are there Others now, and Other Others?  For now, I'm sticking with the Others being the folks already on the island before the crash, but as with all things "Lost," that's subject to revision.

For that matter, was Nathan an Other?  The Canada thing didn't wash, but what did Goodwin mean when he told Ana-Lucia, "Nathan was not a good person. That's why he wasn't on the list"? Nathan stays in the suspect category, and Cindy (who disappeared shortly before both groups hear mysterious sounds in the jungle, and Shannon was shot) isn't looking so squeaky-clean herself.

Meantime, what do we call Jack, Locke, Kate, Sawyer, etc., since we're about to have two sets of castaways run smack into each other, each carrying a serious grudge?  Nose-enders?  Fore-enders? Monster bait?

What's up with the Dharmites?  It's been over a month since we saw Desmond scurry off into the woods. Maybe they didn't pester Locke, Jack, etc., since they were so busy thinning the tailies' ranks. Assuming the two sets of castaways survive whatever battle royale is planned for them, they're going to have to turn back to dealing with the Dharma folks at some point.

And if Dharma cofounders Gerald and Karen DeGroot (whom many fans believe they saw on the boat that carried Walt off) are still on the island, somehow managing all the fun and games, how did a bunch of '60s-era hippie academics end up in charge of such a ruthless bunch?

Before any of that happens, we'll get to watch Sayid and Ana-Lucia hash out the apparent mistake that cost Shannon her life.  Forget the Others, looks like there's going to be plenty of strife when the two sets of castaways finally meet. lifestyle editor Jon Bonne is freeze-framing to figure out what Eko was carving into his stick.